2018-10-04 星期四

The high level of English is a standard for a top student.

1. If you reveal your secret to the wind, you should not blame the wind for revealing them to the trees.

2. Either life entails courage, or it ceases to be life. ​​​​

3. No one can be pure and simple until the last minute.However,don't forget your nature.

4. All the things you are accustomed to have suddenly become the last time. Those landscapes you see repeatedly every day can hardly be seen again afterwards. I, you, we, everybody are going to leave now.

5. Life will get better when it goes bad to a certain extent.Because it can't get worse than this.We should fill our heart with sunshine.

Calculated crystals, kept here for reference =
-- begin --
(1)
Fe3O2F4: theoretical PXRD pattern (copper Kα), based on a cell relaxed with GGA+U.

Most intense lines, 15° ≤ 2θ ≤ 90°, by angle:
- hkl 1 -1 1, 2θ = 26.3°, rel. 100
- hkl 1 1 -1, 2θ = 26.5°, rel. 94
- hkl 0 0 3, 2θ = 34.0°, rel. 50
- hkl 0 2 1, 2θ = 34.1°, rel. 25
- hkl 1 1 2, 2θ = 34.3°, rel. 25
- hkl 1 -3 0, 2θ = 51.5°, rel. 41
- hkl 1 -1 4, 2θ = 51.6°, rel. 27
- hkl 1 3 0, 2θ = 52.0°, rel. 30

a b c (Å): 4.753 5.722 7.928
angles (deg): 93.88 90.34 90.70
Space group P-1 (No. 2)
Inequivalent atoms, fractional coordinates:
Fe (0.000, 0.000, 0.000)
Fe (0.002, 0.353, 0.357)
Fe (0.451, 0.170, 0.687)
Fe (0.500, 0.500, 0.000)
O (0.209, 0.364, 0.571)
O (0.293, 0.188, 0.907)
F (0.185, 0.706, 0.889)
F (0.202, 0.035, 0.238)
F (0.292, 0.551, 0.237)
F (0.308, 0.872, 0.565)

(2)
Fe4OF8: theoretical PXRD pattern (copper Kα), based on a cell relaxed with GGA+U.

Most intense lines, 15° ≤ 2θ ≤ 90°, by angle:
- hkl 2 0 0, 2θ = 18.9°, rel. 55
- hkl 1 1 0, 2θ = 19.1°, rel. 100
- hkl 2 0 2, 2θ = 22.4°, rel. 35
- hkl 2 0 -4, 2θ = 30.4°, rel. 26
- hkl 1 1 4, 2θ = 30.7°, rel. 42
- hkl 3 1 0, 2θ = 33.1°, rel. 30
- hkl 4 0 4, 2θ = 45.8°, rel. 24
- hkl 0 2 6, 2θ = 50.0°, rel. 43

a b c (Å): 9.402 5.359 14.956
angles (deg): 90.00 90.51 90.00
Space group Cc (No. 9)
Inequivalent atoms, fractional coordinates:
Fe (0.000, 0.004, 0.000)
Fe (0.002, 0.029, 0.695)
Fe (0.158, 0.473, 0.544)
Fe (0.170, 0.484, 0.337)
O (0.024, 0.267, 0.592)
F (0.031, 0.306, 0.269)
F (0.040, 0.347, 0.939)
F (0.145, 0.202, 0.093)
F (0.152, 0.203, 0.778)
F (0.158, 0.214, 0.434)
F (0.308, 0.395, 0.938)
F (0.330, 0.369, 0.273)
F (0.343, 0.365, 0.594)

(3)
Fe6O5F7: theoretical PXRD pattern (copper Kα), based on a cell relaxed with GGA+U.

Most intense lines, 15° ≤ 2θ ≤ 90°, by angle:
- hkl 1 1 1, 2θ = 26.1°, rel. 100
- hkl -1 1 1, 2θ = 26.7°, rel. 98
- hkl 0 2 -1, 2θ = 34.5°, rel. 77
- hkl 1 3 0, 2θ = 51.6°, rel. 30
- hkl 2 0 3, 2θ = 51.7°, rel. 29
- hkl -1 1 4, 2θ = 52.2°, rel. 27
- hkl 1 -3 0, 2θ = 52.3°, rel. 30
- hkl 0 4 1, 2θ = 66.0°, rel. 31

a b c (Å): 4.782 5.697 7.831
angles (deg): 85.40 89.41 88.87
Space group P1 (No. 1)
Inequivalent atoms, fractional coordinates:
Fe (0.000, 0.000, 0.000)
Fe (0.003, 0.661, 0.330)
Fe (0.445, 0.139, 0.321)
Fe (0.457, 0.476, 0.005)
Fe (0.480, 0.804, 0.640)
Fe (0.929, 0.339, 0.677)
O (0.166, 0.694, 0.095)
O (0.269, 0.198, 0.089)
O (0.272, 0.845, 0.437)
O (0.769, 0.281, 0.896)
O (0.778, 0.615, 0.557)
F (0.160, 0.354, 0.445)
F (0.170, 0.024, 0.756)
F (0.275, 0.521, 0.760)
F (0.655, 0.781, 0.884)
F (0.673, 0.113, 0.564)
F (0.675, 0.457, 0.230)
F (0.782, 0.945, 0.224)

----------

Calculated X-ray powder pattern of Ba2YCr2F11 for copper Kα, from a DFT-relaxed cell (PBE+U, the Materials Project).
Kinematic intensities with the Lorentz-polarization factor, no thermal factor.

Cell and atoms:
a = 7.910 Å, b = 7.910 Å, c = 14.140 Å
α = 90.00°, β = 90.00°, γ = 120.00°
Sites, in units of the cell vectors:
Ba: 0.134 0.025 0.000
Ba: 0.515 0.181 0.477
Ba: 0.666 0.485 0.810
-- stop --
Here the piece continues =

6. Bustling sad end to the past, do not despair, mundane to the most beautiful soul-stirring.

7. Everyone is a genius. But if you judge a fish by its ability to climb a tree, it will spend its whole life believing it is stupid. 

8. Actually it is just in an idea when feel oneself can achieve and cannot achieve.

9. Sometimes you have to sacrifice to do the right thing.

10. Life takes on meaning when you become motivated, set goals and charge after them in an unstoppable manner. 



1. A vision-centered multi-sensor fusing approach to self-localization and obstacle perception for robotic cars


Abstract: Most state-of-the-art robotic cars’ perception systems are quite different from the way a human driver understands traffic environments. First, humans assimilate information from the traffic scene mainly through visual perception, while the machine perception of traffic environments needs to fuse information from several different kinds of sensors to meet safety-critical requirements. Second, a robotic car requires nearly 100% correct perception results for its autonomous driving, while an experienced human driver works well with dynamic traffic environments, in which machine perception could easily produce noisy perception results. In this paper, we propose a vision-centered multi-sensor fusing framework for a traffic environment perception approach to autonomous driving, which fuses camera, LIDAR, and GIS information consistently via both geometrical and semantic constraints for efficient selflocalization and obstacle perception. We also discuss robust machine vision algorithms that have been successfully integrated with the framework and address multiple levels of machine vision techniques, from collecting training data, efficiently processing sensor data, and extracting low-level features, to higher-level object and environment mapping. The proposed framework has been tested extensively in actual urban scenes with our self-developed robotic cars for eight years. The empirical results validate its robustness and efficiency.

Key words: Visual perception; Self-localization; Mapping; Motion planning; Robotic car

key knowledge points:

1.  three questions during all the time of its driving: where it is, where it is going, and how to go.(location, destination, path planning)

2.  slam simultaneous localization and mapping

3. self-localization, decision making and motion planning, and motion control.

4. the robotic car’s performance heavily depends on the accuracy and reliability of its environment perception technologies including self-localization and perception of obstacles.


2. Elaborate Scene Reconstruction with a Consumer Depth Camera


Abstract: A robust approach to elaborately reconstruct the indoor scene with a consumer depth camera is proposed in this paper. In order to ensure the accuracy and completeness of 3D scene model reconstructed from a freely moving camera, this paper proposes new 3D reconstruction methods, as follows: 1) Depth images are processed with a depth adaptive bilateral filter to effectively improve the image quality; 2) A local-to-global registration with the content-based segmentation is performed, which is more reliable and robust to reduce the visual odometry drifts and registration errors; 3) An adaptive weighted volumetric method is used to fuse the registered data into a global model with sufficient geometrical details. Experimental results demonstrate that our approach increases the robustness and accuracy of the geometric models which were reconstructed from a consumer-grade depth camera.

Keywords: 3D reconstruction, image processing, geometry registration, simultaneous localization and mapping (SLAM), volumetric integration.

key knowledge points:

1. Reconstructing the real world scenes is known as a particularly challenging problem in computer vision field. Many tools have been applied to perceive accurate 3D world, including stereo cameras, laser range finders, monocular cameras, and depth cameras.

2. In this paper, we present an elaborate and robust scene reconstruction method, which can be applied to real-world scenes and has high reconstruction quality. The main contributions of our work contain three aspects: First, in order to increase the accuracy of 3D model, we smooth the depth images by a depth adaptive bilateral filter according to the depth camera s noise model. Second, to reduce the visual odometry drift and improve the geometric registration accuracy, we propose a content-based segmentation to partition the depth image sequence into fragments, and perform geometric registration from local to global. Third, we fuse the data with an adaptive weighting TSDF by which the details of areas with high accuracy and regions of interest (ROI) can be preserved.

3. We presented a robust approach to elaborate scene reconstruction from a consumer depth camera. The main contribution of our research is using the local-to-global registration to obtain complete scene reconstruction and then the accuracy of 3D scene models is improved in the process of depth images filtering and weighted volumetric integration. The experimental results demonstrated that the proposed approach improves the robustness of reconstruction and enhances the fidelity of the 3D models produced from a consumer depth camera.



posted @ 2018-10-04 21:27  三才  阅读(198)  评论(0编辑  收藏  举报